Below is a relaxed Cs5Pb2O5 crystal, with properties calculated at the PBE level.

Calculated values
Density, g/cm³: 5.68
Volume, A^3/atom: 28.24
Formation energy without anion corrections, eV per atom: -1.073

a = 4.257 Å, b = 7.432 Å, c = 11.421 Å
α = 101.29°, β = 90.00°, γ = 106.64°
Positions (direct):
1 Cs 0.500 0.000 0.500
2 Cs 0.641 0.282 0.035
3 Cs 0.753 0.506 0.359
4 Cs 0.247 0.494 0.641
5 Cs 0.359 0.718 0.965
6 Pb 0.018 0.037 0.787
7 Pb 0.982 0.963 0.213
8 O 0.113 0.226 0.352
9 O 0.594 0.187 0.771
10 O 0.406 0.813 0.229
11 O 0.887 0.774 0.648
12 O 0.000 0.000 0.000

~~~~~

(1)
Computed, not measured: a relaxed La2TmBi crystal at the PBE level of DFT.

Properties
Relative energy among the computed polymorphs in meV/atom: 0
VASP energy in eV/f.u.: -19.92
DFT formation energy in meV per atom: -428

Cell lengths 4.9791, 4.9791, 5.0394 Å; angles 90.00, 90.00, 90.00 degrees
Space group P4/mmm (No. 123)
Unique sites:
La: 0.0000 0.5000 0.0000
Tm: 0.0000 0.0000 0.5000
Bi: 0.5000 0.5000 0.5000

(2)
Computed, not measured: a relaxed NbInO2F crystal at the PBE level of DFT.

Properties
VASP energy in eV/f.u.: -28.30
Formation energy (no corrections) in eV/f.u.: -3.704

Cell lengths 4.2379, 4.2379, 4.1629 Å; angles 90.00, 90.00, 90.00 degrees
Space group P4/mmm (No. 123)
Unique sites:
Nb: 0.0000 0.0000 0.0000
In: 0.5000 0.5000 0.5000
O: 0.0000 0.5000 0.5000
F: 0.5000 0.5000 0.0000

(3)
Computed, not measured: a relaxed GeHSeO crystal at the PBE level of DFT.

Properties
Relative energy among the computed polymorphs in meV/atom: 276
VASP energy in eV/f.u.: -17.98

Cell lengths 3.1161, 5.1764, 4.3652 Å; angles 90.00, 96.80, 90.00 degrees
Space group Pm (No. 6)
Unique sites:
Ge: 0.0000 0.0000 0.0000
H: 0.7147 0.5000 0.8757
Se: 0.9853 0.5000 0.1809
O: 0.4561 0.0000 0.7567

(4)
Computed, not measured: a relaxed Al2TcNi crystal at the PBE level of DFT.

Properties
VASP energy in eV/f.u.: -25.08
DFT formation energy in meV per atom: -361

Cell lengths 3.5617, 3.5617, 8.4731 Å; angles 90.00, 90.00, 90.00 degrees
Space group I-4m2 (No. 119)
Unique sites:
Al: 0.0000 0.0000 0.0000
Al: 0.0000 0.5000 0.2500
Tc: 0.0000 0.0000 0.5000
Ni: 0.0000 0.5000 0.7500

- Which value of VASP energy does entry 2 give?
  -28.30 eV/f.u.

~~~~~

(1)
An optimized crystal structure of Sm4TeSe3, computed with PBE-GGA.

## Properties
- D(E_F) (states/eV per cell) = 8.06
- excess energy over the best structure of this formula in the dataset (meV per atom) = 241
- raw formation energy (kcal/mol of atoms) = -34.3
- volume (Å³/f.u.) = 255.5

Cell and atoms, written as CIF:
```
data_Sm4TeSe3
_cell_length_a 5.9541
_cell_length_b 8.5117
_cell_length_c 10.0848
_cell_angle_alpha 90.00
_cell_angle_beta 90.00
_cell_angle_gamma 90.00
_symmetry_space_group_name_H-M 'P 1'
_symmetry_Int_Tables_number 1
loop_
_symmetry_equiv_pos_as_xyz
'x,y,z'
loop_
_atom_site_label
_atom_site_fract_x
_atom_site_fract_y
_atom_site_fract_z
Sm1 0.0645 0.8814 0.0000
Sm2 0.5644 0.2434 0.0000
Sm3 0.0644 0.3483 0.3009
Sm4 0.5644 0.6517 0.1991
Sm5 0.0644 0.7566 0.5000
Sm6 0.5645 0.1186 0.5000
Sm7 0.5644 0.6517 0.8009
Sm8 0.0644 0.3483 0.6991
Te1 0.0644 0.2524 0.0000
Te2 0.5644 0.7476 0.5000
Se1 0.5645 0.9021 0.0000
Se2 0.0644 0.6728 0.2166
Se3 0.5644 0.3272 0.2834
Se4 0.0645 0.0979 0.5000
Se5 0.5644 0.3272 0.7166
Se6 0.0644 0.6728 0.7834
```

=====

(2)
An optimized crystal structure of NdGa11Co, computed with PBE-GGA.

## Properties
- D(E_F) (states/eV per cell) = 5.62
- energy of formation (eV/atom) = -0.158
- volume (Å³/f.u.) = 236.4

Cell and atoms, written as CIF:
```
data_NdGa11Co
_cell_length_a 5.2217
_cell_length_b 7.5761
_cell_length_c 6.7015
_cell_angle_alpha 84.41
_cell_angle_beta 67.07
_cell_angle_gamma 75.53
_symmetry_space_group_name_H-M 'P 1'
_symmetry_Int_Tables_number 1
loop_
_symmetry_equiv_pos_as_xyz
'x,y,z'
loop_
_atom_site_label
_atom_site_fract_x
_atom_site_fract_y
_atom_site_fract_z
Nd1 0.0000 0.0000 0.0000
Ga1 0.2693 0.2357 0.2137
Ga2 0.7307 0.7643 0.7863

Now transcribe only the lines earlier on with the word "Se" in them.

Se: 0.9853 0.5000 0.1809